Week 29 Flashcards
What do companies look at?
Companies want people who have technical and soft skills whose vision aligns with the company’s mission and culture.
What do Human Resources do in a company?
Human Resources is about recruiting new talent.
Is Human Resources important?
Human Resources is an essential part of businesses.
Who is responsible for business staff?
Human Resources is responsible for contracting new staff to contribute to the company’s success.
Why do companies want employees to stay?
Companies want employees to stay in their team and make them see their business as a good opportunity to grow and advance professionally.
Why is employee growth related with the success of an organization?
Employee growth is strongly related with organizational success because better prepared workers will contribute to more production to the business.
How do Human Resources find talented people?
Talent can be seen through different approaches, being open to every talent and make sure not to waste it.
Is innovation important in a company?
Innovation is essential for every company to renovate itself and introducing new ideas to not letting die the company.
Translate: Qui la fa la paga.
Every action has its consequences.
Why do businesses make interviews?
To make sure that employees can fulfill their job is to make them interviews and testing them to see if they meet the expectations of the company.
Why is Human Resources department important?
HR department are one of a company’s success because it chooses the talents that will make the company grow.
It’s a good thing to make sure the worker is safe?
It is very important to ensure worker’s safety in doing their labor.
How will the market change in the future?
Nowadays, the market will focus on digitalization and green transition so employees will be required to study these trends to have more chances to be employed.
Communication is useful in companies?
Internal communication is essential to have an excellent work performance.
Is law more powerful than companies?
Law is above every power that any company possess.
How are made the relations between employees?
Companies are regulated or work by organizational charts that define each role of every employee.
How can be peace achieved by individuals?
Peace can be achieved with cooperation and understanding with each other.
What is done by a Marketing department?
Marketing promote and manage sponsorship to promote the activities being taken out by the staff.
== Next to the entry, the page also holds records of crystals ==
18
Lattice="1.939 -6.653 0.000 1.939 6.653 0.000 0.000 0.000 13.087" Properties=species:S:1:pos:R:3 comment="DyGa3Pt5 | the Alexandria database | PBE | optimized geometry" total_energy_ev_per_atom=-5.561 density_g_cm3=13.3 delta_e_f_kj_per_mol_atoms=-66.0 magmom_total_mub_per_atom=0.0000 n_ef_per_ev_atom=0.374 pbc="T T T"
Dy 1.939 5.340 9.815
Dy 1.939 -5.340 3.272
Ga 1.939 4.829 3.272
Ga 1.939 1.619 0.525
Ga 1.939 1.619 6.019
Ga 1.939 -1.619 7.068
Ga 1.939 -1.619 12.563
Ga 1.939 -4.829 9.815
Pt 0.000 0.000 0.000
Pt 0.000 0.000 6.544
Pt 1.939 4.001 0.938
Pt 1.939 4.001 5.605
Pt 1.939 0.549 8.481
Pt 1.939 0.549 11.150
Pt 1.939 -0.549 1.937
Pt 1.939 -0.549 4.606
Pt 1.939 -4.001 7.482
Pt 1.939 -4.001 12.149
What will be the market trends?
The topics that will be trend on future EU markets are democracy, human rights…
Are companies above the law?
Companies are not above laws, so they must make sure they follow and obey the rules that govern them.
There has to be equality in companies?
Every employee is to be treated equally.
What can businesses do to grow?
Companies must overlook what are the consumer’s needs to continue to grow.
How important is the virtue of resillience?
It is essential to get up when we fall and fail; greatness is in recover, not to never fall.
How is a good worker?
Workers must be punctual, committed, and reliable when working because of the responsibilities they must carry out.